A Guide to Feline Urinary Tract Infections

Feline Lower Urinary Tract Disease (FLUTD) is quite a common complaint for cats to experience at some point in their lives. In general, middle-aged and older cats are more susceptible but this largely depends on the overall health of the cat.

Cat UTI’s can occur for many different reasons and present with a range of symptoms. Finding and treating the root cause will be the most effective long-term approach to treatment and preventing future infections.

Inserted here: data records =
## Er3As2Pt2Rh5 (GGA-PBE)

Data for a relaxed structure of Er3As2Pt2Rh5.

Its total energy is -6.846 eV/atom. The density of states at the Fermi level is 14.48 states/eV per cell. The size of the total moment is 0.00 μB/f.u.

The structure belongs to space group I4/mmm (No. 139); the cell edges are 4.010, 4.010 and 26.504 Å and the angles 90.00°, 90.00° and 90.00°. The asymmetric unit holds Er at (0.000, 0.000, 0.000), Er at (0.000, 0.000, 0.170), As at (0.000, 0.000, 0.370), Pt at (0.000, 0.000, 0.277), Rh at (0.000, 0.000, 0.500) and Rh at (0.000, 0.500, 0.079).

## Er4AsPtS2 (GGA-PBE)

Data for a relaxed structure of Er4AsPtS2.

The density of states at the Fermi level is 4.54 states/eV per cell. As for the uncorrected formation energy: -1.62 eV/atom. The size of the total moment is 0.00 μB/f.u.

The structure belongs to space group P2/m (No. 10); the cell edges are 6.865, 3.938 and 7.018 Å and the angles 90.00°, 108.92° and 90.00°. The asymmetric unit holds Er at (0.244, 0.000, 0.249), Er at (0.246, 0.500, 0.747), As at (0.500, 0.000, 0.000), Pt at (0.000, 0.500, 0.000), S at (0.000, 0.000, 0.500) and S at (0.500, 0.500, 0.500).

## Er8AsPt3Se4 (GGA-PBE)

Data for a relaxed structure of Er8AsPt3Se4.

The density of states at the Fermi level is 27.06 states/eV per cell. As for the uncorrected formation energy: -1.50 eV/atom. The size of the total moment is 0.00 μB/f.u.

The structure belongs to space group R-3m (No. 166, hexagonal axes); the cell edges are 7.9835, 7.9835 and 20.9717 Å and the angles 90.00°, 90.00° and 120.00°. The asymmetric unit holds Er at (0.0000, 0.0000, 0.2432), Er at (0.0074, 0.5037, 0.7547), As at (0.0000, 0.0000, 0.5000), Pt at (0.0000, 0.5000, 0.5000), Se at (0.0000, 0.0000, 0.0000) and Se at (0.0000, 0.5000, 0.0000).

~~~~~

[1]
VASP calculation (PBE-GGA) on LaTb3Ho8 after structural relaxation.

Summary:
* calculated total energy: -3.9627 eV/atom
* space group: I-42m (121)
* formation energy: 0.66 eV/atom
* volume: 35.32 Å³/atom

The structure in extended XYZ format:
```
12
Lattice="-3.036 3.229 -7.056 0.709 -8.292 0.428 -4.718 0.617 6.841" Properties=species:S:1:pos:R:3 pbc="T T T"
La 0.709 -8.292 0.428
Tb -2.166 -4.450 -1.497
Tb -4.880 0.005 1.709
Tb -2.005 -3.837 3.634
Ho -2.575 -0.355 -1.686
Ho -4.520 -4.185 1.989
Ho -3.675 -2.761 -5.051
Ho -6.357 1.641 -1.883
Ho -2.283 -2.097 0.980
Ho -2.784 1.439 -4.355
Ho -3.676 -4.610 6.234
Ho -2.311 -6.851 4.621
```

[2]
VASP calculation (PBE-GGA) on La2Tb2Ho3 after structural relaxation.

Summary:
* calculated total energy: -4.5600 eV/atom
* space group: C2/m (12)
* formation energy: 0.13 eV/atom
* ΔE to the lowest computed polymorph: 111 meV per atom
* volume: 33.58 Å³/atom

The structure in extended XYZ format:
```
7
Lattice="3.522 0.000 0.000 0.000 8.573 -0.762 -1.761 -3.615 8.108" Properties=species:S:1:pos:R:3 pbc="T T T"
La 1.761 7.368 0.398
La 0.000 -2.411 6.949
Tb 1.761 3.140 5.126
Tb 0.000 1.818 2.221
Ho 0.000 4.286 -0.381
Ho 0.000 5.318 2.823
The piece goes on =

However, it is possible that the root cause may not be identified. This is classified as idiopathic cat cystitis, which is a surprisingly common type of FLUTD.

Signs of cat UTI

If your cat doesn’t use a litter tray and does its peeing and pooping outside, you will struggle to notice the first signs of a UTI. A cat not peeing is usually obvious if you are present when they urinate or can check their litter tray daily.

It is important to note that FLUTD in a serious condition requiring prompt treatment from a qualified veterinarian. If you are worried your cat may be experiencing difficulties with urination, seek veterinary assistance without delay.

The signs to look out for include:

  • Straining with urination
  • Inability to urinate
  • Only passing small amounts of urine
  • Going in and out of litter tray
  • Over-grooming of genital region
  • Trying to urinate but no urine present
  • Blood in urine
  • Vocalisation when urinating
  • Urinating in inappropriate places
  • Increased water consumption
  • Lethargy
  • Vomiting

Causes of feline UTIs

There are many reasons behind your cat’s urinary difficulties. However, there is a difference between struggling to urinate and no urinating at all. If your cat has a complete blockage it can be fatal and requires immediate medical intervention.

Some of the possible causes of FLUTD include the following:

  • Bladder stones
  • Other blockages in bladder or urethra
  • Infection
  • Injury or trauma to the affected areas
  • Stress
  • Mineral imbalance
  • Anatomical abnormalities
  • Tumour within the urinary tract which may be cancerous
  • Inflammation of the bladder and/or urinary tract
  • Inherited abnormality
  • Spinal cord issues

Illnesses that may contribute to the occurrence of FLUTD include diabetes and hyperthyroidism.

Unrelated to this piece: data records
'''
1.
The following is a DFT calculation (GGA-PBE) of a relaxed structure of CrFe3Co2. Values from VASP.

Values from the calculation:
Symmetry: I4_1/amd, No. 141
ΔH_f (0 K) in eV/f.u.: 0.84
E in eV/atom: -8.06

The structure in Quantum ESPRESSO input format:
```
&SYSTEM
  ibrav = 0, nat = 24, ntyp = 3
/
ATOMIC_SPECIES
Cr 52.00 Cr.upf
Fe 55.84 Fe.upf
Co 58.93 Co.upf
ATOMIC_POSITIONS crystal
Cr 0.317 0.317 0.635
Cr 0.683 0.683 0.365
Cr 0.567 0.067 0.135
Cr 0.933 0.433 0.865
Fe 0.311 0.689 0.000
Fe 0.125 0.875 0.250
Fe 0.125 0.375 0.250
Fe 0.689 0.689 0.000
Fe 0.689 0.311 0.000
Fe 0.939 0.439 0.500
Fe 0.625 0.875 0.750
Fe 0.125 0.875 0.750
Fe 0.561 0.061 0.500
Fe 0.561 0.439 0.500
Fe 0.311 0.311 0.000
Fe 0.939 0.061 0.500
Co 0.912 0.739 0.823
Co 0.338 0.665 0.677
Co 0.261 0.088 0.177
Co 0.335 0.662 0.323
Co 0.915 0.088 0.177
Co 0.989 0.662 0.323
Co 0.338 0.011 0.677
Co 0.912 0.085 0.823
CELL_PARAMETERS angstrom
-3.878 6.077 1.897
-5.543 -2.130 -4.505
2.528 -4.591 5.227
```



2.
The following is a DFT calculation (GGA-PBE) of a relaxed structure of CrFe3Co. Values from VASP.

Values from the calculation:
Offset from the most stable computed form in eV/atom: 0.979
Symmetry: Pm-3m, No. 221
ΔH_f (0 K) in eV/f.u.: 5.17
E in eV/atom: -7.39

The structure in Quantum ESPRESSO input format:
```
&SYSTEM
  ibrav = 0, nat = 5, ntyp = 3
/
ATOMIC_SPECIES
Cr 52.00 Cr.upf
Co 58.93 Co.upf
Fe 55.84 Fe.upf
ATOMIC_POSITIONS crystal
Cr 0.500 0.500 0.500
Co 0.000 0.000 0.000
Fe 0.000 0.500 0.000
Fe 0.000 0.000 0.500
Fe 0.500 0.000 0.000
CELL_PARAMETERS angstrom
-1.215 -2.814 -3.012
3.294 1.225 -2.474
2.478 -3.008 1.811
```



3.
The following is a DFT calculation (GGA-PBE) of a relaxed structure of Cr2FeCo2. Values from VASP.

Values from the calculation:
Offset from the most stable computed form in eV/atom: 0.004
Symmetry: P4/mbm, No. 127
ΔH_f (0 K) in eV/f.u.: 1.31
E in eV/atom: -8.12

The structure in Quantum ESPRESSO input format:
```
&SYSTEM
  ibrav = 0, nat = 10, ntyp = 3
/
ATOMIC_SPECIES
Cr 52.00 Cr.upf
Co 58.93 Co.upf
Fe 55.84 Fe.upf
ATOMIC_POSITIONS crystal
Cr 0.173 0.673 0.500
Cr 0.673 0.827 0.500
Cr 0.827 0.327 0.500
Cr 0.327 0.173 0.500
Co 0.374 0.874 0.000
Co 0.874 0.626 0.000
Co 0.626 0.126 0.000
Co 0.126 0.374 0.000
Fe 0.000 0.000 0.000
Fe 0.500 0.500 0.000
CELL_PARAMETERS angstrom
-2.311 4.778 4.005
-6.234 -1.819 -1.427
0.027 -1.615 1.942
```

----------

The following is a DFT calculation (PBE) of crystalline LiY2SbH at its relaxed geometry.

Values from the calculation:
Final energy, Ry per atom: -0.3710
Calculated density, Mg/m³: 5.188
Crystal system: tetragonal

Cell: 4.804 4.804 4.266 Å, 90.00 90.00 90.00°
Sites, in units of the cell vectors:
1 H 0.000 0.000 0.000
2 Li 0.000 0.000 0.500
3 Y 0.000 0.500 0.000
4 Y 0.500 0.000 0.000
5 Sb 0.500 0.500 0.500



The following is a DFT calculation (PBE) of crystalline TmGaCu2Ni2 at its relaxed geometry.

Values from the calculation:
Final energy, Ry per atom: -0.3236
Calculated density, Mg/m³: 7.937
'''

How is cat cystitis diagnosed?

Cystitis can only be diagnosed by a qualified veterinary surgeon. In order to establish a diagnosis, a vet will need to see your cat.

After reviewing your cat’s clinical history and hearing the presenting symptoms, your vet will physically examine your cat. Your vet is also likely to undertake any of the following tests, as these will help to ensure an accurate diagnosis:

  • Blood test
  • Urine test
  • X-ray and/or ultrasound scan

Often your vet will be able to establish a blockage purely on physical examination of the bladder. However, to be certain it is common to want to scan or x-ray the area to confirm the location of the blockage. This will help your vet decide the best course of treatment.

If there doesn’t appear to be a blockage, your vet will likely take a blood test to look for signs of infection or any other potential red flags.

Cat cystitis treatment

If the cause of your cats urinary difficulties are unknown (idiopathic cat cystitis), your vet will likely prescribe drugs such as pain relief and possibly antibiotics if there is evidence of an infection.

However, cat’s experiencing a complete block will need to be admitted for treatment which will usually be under sedation or anaesthetic.

If the blockage is a stone, the favoured procedure is to use a urinary catheter to clear the blockage or an operation known as cystotomy which involves directly removing the stones from the bladder.

Recovery very much depends on the severity of the condition and the treatment given. If you cat had to undergo an operation, they may have to be hospitalised for several days.

If an underlying condition has been found, then further treatment may be given. These include prescription diets and other medications.

Once you cat is home, keep an eye on them for a few weeks and ideally use a litter tray so you can monitor the situation.